[Exercise]
Write out everything underneath without altering anything, please.

[Entries]
<<<
# Tl3CoCl7
Simulated XRD peak list, Cu Kα. Input: DFT lattice parameters and positions (PBE).

Crystal structure
Cell: 7.1042 7.1042 7.3264 Å, 109.10 109.10 85.07°
Fractional coordinates of all 11 atoms:
Tl: 0.0000 0.0000 0.0000
Tl: 0.2831 0.7114 0.4778
Tl: 0.7114 0.2831 0.4778
Co: 0.5055 0.5055 0.9844
Cl: 0.0116 0.0116 0.4266
Cl: 0.2009 0.5403 0.7700
Cl: 0.3546 0.3546 0.1307
Cl: 0.4709 0.8089 0.2029
Cl: 0.5403 0.2009 0.7700
Cl: 0.6534 0.6534 0.8346
Cl: 0.8089 0.4709 0.2029

Top 10 peaks for 10 to 80 degrees two-theta, in order of rising 2θ:
| Position (°2θ) | I_rel |
| --- | --- |
| 18.92 | 90 |
| 22.94 | 100 |
| 25.28 | 51 |
| 25.69 | 39 |
| 27.18 | 34 |
| 29.48 | 32 |
| 33.64 | 50 |
| 35.84 | 30 |
| 37.42 | 26 |
| 39.35 | 26 |

* * * * *

(1)
Diffraction record for Sr2Ga5Ag5. The X-ray powder pattern is computed, not measured: it uses a cell relaxed with GGA-PBE and Cu Kα.
Neutral-atom scattering factors, no anomalous dispersion.

Atomic structure:
Unit cell a=4.499 b=5.635 c=9.957 alpha=90.00 beta=90.00 gamma=90.00
Space group Pmmm (No. 47)
Symmetry-distinct sites (fractional):
Sr 0.000 0.000 0.000 x1
Sr 0.000 0.500 0.500 x1
Ga 0.500 0.000 0.500 x1
Ga 0.500 0.247 0.248 x4
Ag 0.000 0.000 0.333 x2
Ag 0.000 0.500 0.178 x2
Ag 0.500 0.500 0.000 x1

Peak list (10 most intense, 10 to 90 degrees two-theta, in order of falling intensity)
hkl 1 1 3, 2θ 37.26, I 100.0; hkl 1 2 0, 2θ 37.67, I 40.1; hkl 2 0 0, 2θ 40.09, I 38.1; hkl 1 2 2, 2θ 41.96, I 33.4; hkl 0 1 3, 2θ 31.28, I 23.5; hkl 0 1 1, 2θ 18.09, I 23.3; hkl 1 3 3, 2θ 60.24, I 23.2; hkl 2 2 6, 2θ 79.42, I 18.6; hkl 0 2 6, 2θ 65.25, I 16.4; hkl 0 2 0, 2θ 31.76, I 16.0

***

(2)
Diffraction record for Cd5In3Ga3. The X-ray powder pattern is computed, not measured: it uses a cell relaxed with GGA-PBE and Cu Kα.
Neutral-atom scattering factors, no anomalous dispersion.

Atomic structure:
Unit cell a=9.8469 b=9.8469 c=3.2156 alpha=90.00 beta=90.00 gamma=120.00
Space group P-62m (No. 189)
Symmetry-distinct sites (fractional):
Cd 0.0000 0.3338 0.0000 x3
Cd 0.3333 0.6667 0.0000 x2
In 0.0000 0.5951 0.5000 x3
Ga 0.0000 0.8385 0.0000 x3

Peak list (10 most intense, 10 to 90 degrees two-theta, in order of falling intensity)
hkl 1 1 1, 2θ 33.28, I 100.0; hkl 3 0 0, 2θ 31.47, I 88.6; hkl 3 1 0, 2θ 38.05, I 64.1; hkl 2 2 1, 2θ 46.45, I 53.8; hkl 0 0 1, 2θ 27.70, I 43.0; hkl 2 1 1, 2θ 39.59, I 42.8; hkl 2 0 1, 2θ 34.95, I 28.2; hkl 6 0 1, 2θ 72.74, I 27.4; hkl 3 2 1, 2θ 54.94, I 25.8; hkl 3 0 1, 2θ 42.44, I 21.9

***

(3)
Diffraction record for Dy8AlCu2. The X-ray powder pattern is computed, not measured: it uses a cell relaxed with GGA-PBE and Cu Kα.
Neutral-atom scattering factors, no anomalous dispersion.

Atomic structure:
Unit cell a=8.623 b=13.549 c=5.310 alpha=90.00 beta=107.10 gamma=90.00
Space group Cm (No. 8)
Symmetry-distinct sites (fractional):
Dy 0.000 0.000 0.000 x2
Dy 0.093 0.377 0.779 x4
Dy 0.184 0.123 0.604 x4
Dy 0.277 0.500 0.383 x2
Dy 0.389 0.236 0.192 x4
Al 0.388 0.000 0.192 x2
Cu 0.388 0.308 0.691 x4

Peak list (10 most intense, 10 to 90 degrees two-theta, in order of falling intensity)
hkl 2 0 1, 2θ 31.75, I 100.0; hkl 2 4 0, 2θ 34.27, I 44.0; hkl 3 1 -1, 2θ 32.86, I 43.1; hkl 1 1 -2, 2θ 34.43, I 31.2; hkl 1 5 -1, 2θ 37.70, I 22.6; hkl 1 3 1, 2θ 30.53, I 22.4; hkl 2 2 -1, 2θ 26.95, I 19.1; hkl 2 2 -2, 2θ 38.15, I 15.5; hkl 2 4 2, 2θ 54.91, I 15.1; hkl 2 8 1, 2θ 64.15, I 15.0

***

(4)
Diffraction record for Tm2SiPPt6. The X-ray powder pattern is computed, not measured: it uses a cell relaxed with GGA-PBE and Cu Kα.
Neutral-atom scattering factors, no anomalous dispersion.

Atomic structure:
Unit cell a=5.519 b=8.336 c=8.152 alpha=90.00 beta=90.00 gamma=90.00
Space group Pmmn (No. 59, origin choice 2)
Symmetry-distinct sites (fractional):
Tm 0.250 0.011 0.233 x4
Si 0.250 0.750 0.769 x2
P 0.250 0.250 0.764 x2
Pt 0.002 0.250 0.484 x4
Pt 0.002 0.750 0.008 x4
Pt 0.250 0.006 0.630 x4

Peak list (10 most intense, 10 to 90 degrees two-theta, in order of falling intensity)
>>>

[Worked solution]
# Tl3CoCl7
Simulated XRD peak list, Cu Kα. Input: DFT lattice parameters and positions (PBE).

Crystal structure
Cell: 7.1042 7.1042 7.3264 Å, 109.10 109.10 85.07°
Fractional coordinates of all 11 atoms:
Tl: 0.0000 0.0000 0.0000
Tl: 0.2831 0.7114 0.4778
Tl: 0.7114 0.2831 0.4778
Co: 0.5055 0.5055 0.9844
Cl: 0.0116 0.0116 0.4266
Cl: 0.2009 0.5403 0.7700
Cl: 0.3546 0.3546 0.1307
Cl: 0.4709 0.8089 0.2029
Cl: 0.5403 0.2009 0.7700
Cl: 0.6534 0.6534 0.8346
Cl: 0.8089 0.4709 0.2029

Top 10 peaks for 10 to 80 degrees two-theta, in order of rising 2θ:
| Position (°2θ) | I_rel |
| --- | --- |
| 18.92 | 90 |
| 22.94 | 100 |
| 25.28 | 51 |
| 25.69 | 39 |
| 27.18 | 34 |
| 29.48 | 32 |
| 33.64 | 50 |
| 35.84 | 30 |
| 37.42 | 26 |
| 39.35 | 26 |

* * * * *

(1)
Diffraction record for Sr2Ga5Ag5. The X-ray powder pattern is computed, not measured: it uses a cell relaxed with GGA-PBE and Cu Kα.
Neutral-atom scattering factors, no anomalous dispersion.

Atomic structure:
Unit cell a=4.499 b=5.635 c=9.957 alpha=90.00 beta=90.00 gamma=90.00
Space group Pmmm (No. 47)
Symmetry-distinct sites (fractional):
Sr 0.000 0.000 0.000 x1
Sr 0.000 0.500 0.500 x1
Ga 0.500 0.000 0.500 x1
Ga 0.500 0.247 0.248 x4
Ag 0.000 0.000 0.333 x2
Ag 0.000 0.500 0.178 x2
Ag 0.500 0.500 0.000 x1

Peak list (10 most intense, 10 to 90 degrees two-theta, in order of falling intensity)
hkl 1 1 3, 2θ 37.26, I 100.0; hkl 1 2 0, 2θ 37.67, I 40.1; hkl 2 0 0, 2θ 40.09, I 38.1; hkl 1 2 2, 2θ 41.96, I 33.4; hkl 0 1 3, 2θ 31.28, I 23.5; hkl 0 1 1, 2θ 18.09, I 23.3; hkl 1 3 3, 2θ 60.24, I 23.2; hkl 2 2 6, 2θ 79.42, I 18.6; hkl 0 2 6, 2θ 65.25, I 16.4; hkl 0 2 0, 2θ 31.76, I 16.0

***

(2)
Diffraction record for Cd5In3Ga3. The X-ray powder pattern is computed, not measured: it uses a cell relaxed with GGA-PBE and Cu Kα.
Neutral-atom scattering factors, no anomalous dispersion.

Atomic structure:
Unit cell a=9.8469 b=9.8469 c=3.2156 alpha=90.00 beta=90.00 gamma=120.00
Space group P-62m (No. 189)
Symmetry-distinct sites (fractional):
Cd 0.0000 0.3338 0.0000 x3
Cd 0.3333 0.6667 0.0000 x2
In 0.0000 0.5951 0.5000 x3
Ga 0.0000 0.8385 0.0000 x3

Peak list (10 most intense, 10 to 90 degrees two-theta, in order of falling intensity)
hkl 1 1 1, 2θ 33.28, I 100.0; hkl 3 0 0, 2θ 31.47, I 88.6; hkl 3 1 0, 2θ 38.05, I 64.1; hkl 2 2 1, 2θ 46.45, I 53.8; hkl 0 0 1, 2θ 27.70, I 43.0; hkl 2 1 1, 2θ 39.59, I 42.8; hkl 2 0 1, 2θ 34.95, I 28.2; hkl 6 0 1, 2θ 72.74, I 27.4; hkl 3 2 1, 2θ 54.94, I 25.8; hkl 3 0 1, 2θ 42.44, I 21.9

***

(3)
Diffraction record for Dy8AlCu2. The X-ray powder pattern is computed, not measured: it uses a cell relaxed with GGA-PBE and Cu Kα.
Neutral-atom scattering factors, no anomalous dispersion.

Atomic structure:
Unit cell a=8.623 b=13.549 c=5.310 alpha=90.00 beta=107.10 gamma=90.00
Space group Cm (No. 8)
Symmetry-distinct sites (fractional):
Dy 0.000 0.000 0.000 x2
Dy 0.093 0.377 0.779 x4
Dy 0.184 0.123 0.604 x4
Dy 0.277 0.500 0.383 x2
Dy 0.389 0.236 0.192 x4
Al 0.388 0.000 0.192 x2
Cu 0.388 0.308 0.691 x4

Peak list (10 most intense, 10 to 90 degrees two-theta, in order of falling intensity)
hkl 2 0 1, 2θ 31.75, I 100.0; hkl 2 4 0, 2θ 34.27, I 44.0; hkl 3 1 -1, 2θ 32.86, I 43.1; hkl 1 1 -2, 2θ 34.43, I 31.2; hkl 1 5 -1, 2θ 37.70, I 22.6; hkl 1 3 1, 2θ 30.53, I 22.4; hkl 2 2 -1, 2θ 26.95, I 19.1; hkl 2 2 -2, 2θ 38.15, I 15.5; hkl 2 4 2, 2θ 54.91, I 15.1; hkl 2 8 1, 2θ 64.15, I 15.0

***

(4)
Diffraction record for Tm2SiPPt6. The X-ray powder pattern is computed, not measured: it uses a cell relaxed with GGA-PBE and Cu Kα.
Neutral-atom scattering factors, no anomalous dispersion.

Atomic structure:
Unit cell a=5.519 b=8.336 c=8.152 alpha=90.00 beta=90.00 gamma=90.00
Space group Pmmn (No. 59, origin choice 2)
Symmetry-distinct sites (fractional):
Tm 0.250 0.011 0.233 x4
Si 0.250 0.750 0.769 x2
P 0.250 0.250 0.764 x2
Pt 0.002 0.250 0.484 x4
Pt 0.002 0.750 0.008 x4
Pt 0.250 0.006 0.630 x4

Peak list (10 most intense, 10 to 90 degrees two-theta, in order of falling intensity)